Apr 24 2013

Anti-immigration protest celebrates appeal to “racial hatred”

On Saturday, BNP and EDL supporter Dean Everitt wheeled out the sequel to his Boston anti-immigration protest. The anti-immigration protest in Spalding was timed to fall on the anniversary of Enoch Powell’s famous race-baiting “Rivers of Blood” speech, which is no surprise given the politics of those organising it. 150 people turned up to the call for “No more immigration” which was a disappointment for the organisers who had hoped to build on the larger number at the Boston event. Again, the main speakers were UK Independence Party candidates fishing for votes.

The provocative link that was made to Powell’s speech should give some idea of what motivates the organisers of these events. “Enoch Powell was right” has long been a rallying cry for the far right and the former Conservative MP has been lionised by white power advocates. At the time of the infamous speech The Times said that Powell had “appealed to racial hatred” and he was immediately sacked by Edward Heath for inflaming racial tensions. Powell’s speech was a reaction against the introduction of the Race Relations Act which made it a crime to refuse housing, employment or public services to a person on the grounds of their colour, race, ethnic or national origins. Powell was opposed to equality, suggesting that it would lead to a situation in which “the black man will have the whip hand over the white man” as opposed to the other way around which he found acceptable.

The organiser of the Spalding protest, Dean Everitt, has made similarly alarmist statements in the past saying “The British person is being discriminated against in their own country” and that “We are not racist…  but we are saying this place is now full and we should not have any more [migrants].” He is similarly scare-mongering and is merely afraid of losing his privileged status. Rather than see the problem as the capitalist system that only takes the cheapest workers and throws everyone else on the scrapheap, Everitt blames the hyper-exploited workers instead because they are an easier target for him to take his frustration out on.

Misplaced materials data:
=====
# Al2Tl2Cl7 | Alexandria via LeMat-Bulk | PBE | optimized geometry
data_Al2Tl2Cl7
_chemical_formula_sum 'Al4 Tl4 Cl14'
_symmetry_space_group_name_H-M 'P 1'
_symmetry_Int_Tables_number 1
_cell_length_a 8.209
_cell_length_b 8.209
_cell_length_c 14.091
_cell_angle_alpha 102.65
_cell_angle_beta 102.65
_cell_angle_gamma 105.80
loop_
_symmetry_equiv_pos_as_xyz
'x,y,z'
loop_
_atom_site_label
_atom_site_fract_x
_atom_site_fract_y
_atom_site_fract_z
Tl1 0.350 0.831 0.529
Cl1 0.631 0.628 0.131
Cl2 0.233 0.182 0.598
Tl2 0.169 0.650 0.971
Cl3 0.961 0.364 0.719
Cl4 0.767 0.818 0.402
Cl5 0.182 0.233 0.098
Tl3 0.831 0.350 0.029
Cl6 0.818 0.767 0.902
Cl7 0.628 0.631 0.631
Cl8 0.039 0.961 0.750
Cl9 0.961 0.039 0.250
Cl10 0.372 0.369 0.369
Al1 0.763 0.844 0.767
Cl11 0.369 0.372 0.869
Cl12 0.636 0.039 0.781
Al2 0.156 0.237 0.733
Cl13 0.039 0.636 0.281
Cl14 0.364 0.961 0.219
Al3 0.237 0.156 0.233
Al4 0.844 0.763 0.267
Tl4 0.650 0.169 0.471
# Raw total energy in eV/cell: -77.21
# Symmetry: C2/c
# ΔE_f (raw) in eV/atom: -1.22

~~~~~

This record from Alexandria via LeMat-Bulk describes an optimized crystal structure of FeTeI2N. The functional is PBE.

Unit cell a=5.597 b=5.597 c=3.536 alpha=90.00 beta=90.00 gamma=90.00
Last column: magnetic moment on the atom in μB.
Fractional coordinates of all 5 atoms:
N: 0.000 0.000 0.500  -0.09
Te: 0.500 0.500 0.500  0.00
Fe: 0.000 0.000 0.000  0.46
I: 0.000 0.500 0.000  0.00
I: 0.500 0.000 0.000  0.00

magnetization = 0.4 Bohr magnetons per cell
calculated total energy = -4.083 eV/atom
crystal system = tetragonal
formation energy (no corrections) = 523.2 meV/atom

~~~~~

(1)
Material: KCdSb2C
Method: DFT, PBE-GGA
State: relaxed

```
data_KCdSb2C
_symmetry_space_group_name_H-M 'P 1'
_symmetry_Int_Tables_number 1
_symmetry_space_group_name_Hall 'P 1'
_cell_length_a 4.799
_cell_length_b 5.643
_cell_length_c 4.799
_cell_angle_alpha 90.00
_cell_angle_beta 90.00
_cell_angle_gamma 90.00
loop_
_atom_site_label
_atom_site_type_symbol
_atom_site_fract_x
_atom_site_fract_y
_atom_site_fract_z
Sb1 Sb 0.000 0.000 0.500
Sb2 Sb 0.500 0.000 0.000
K1 K 0.000 0.500 0.000
C1 C 0.000 0.000 0.000
Cd1 Cd 0.500 0.500 0.500
```

## Properties
E_form (uncorrected) in eV per atom: 0.7516
SG: P4/mmm
Final energy in eV/atom: -3.14

(2)
Material: V2RhWCl
Method: DFT, PBE-GGA
State: relaxed

```
data_V2RhWCl
_symmetry_space_group_name_H-M 'P 1'
_symmetry_Int_Tables_number 1
_symmetry_space_group_name_Hall 'P 1'
_cell_length_a 4.636
_cell_length_b 4.785
_cell_length_c 4.636
_cell_angle_alpha 90.00
_cell_angle_beta 90.00
_cell_angle_gamma 90.00
loop_
_atom_site_label
_atom_site_type_symbol
_atom_site_fract_x
_atom_site_fract_y
_atom_site_fract_z
Cl1 Cl 0.500 0.500 0.500
Rh1 Rh 0.000 0.000 0.000
W1 W 0.000 0.500 0.000
V1 V 0.000 0.000 0.500
V2 V 0.500 0.000 0.000
```

## Properties
E_form (uncorrected) in eV per atom: 1.5172
SG: P4/mmm
Final energy in eV/atom: -6.56

Magnetization values (in μB per formula unit) by entry order: 0.0, 0.0.

~~~~~
=====

Let’s hope this ugly movement is on the way out.

Apr 22 2013

Boneheads battered in Brighton!

After months of baiting anti-fascists, the gobshites of the far right were weeping into their pillows last night after they were run out of Brighton yet again. Despite hyping the event as a big one and fantasising about what they were going to do to the ‘reds’ they only mustered 150 flag-waving morons at their march to nowhere. The following report is from a local anti-fascist who was there to send them packing:

We knew the fash were worried on Saturday night when Jeff Marsh started tweeting that the Casuals “owned Worthing”. If they were really such big men why didn’t they come down into Brighton where anti-fascists had been leafleting and band after band at the Punx Picnic was calling the punters out to oppose the fascists? The man was clearly close to losing his bottle and going where he wanted which was home with a nice cup of Horlicks. We could sleep easy knowing that our enemies were bricking it.

Casuals United and NWI "totally own" a secluded corner protected by cops

Casuals United and NWI “totally own” a secluded corner protected by cops

=====
No. 1
# NdSm2Er6Tm3, relaxed, DFT GGA-PBE
# - N(E_F): 16.61 states/eV/f.u.
# - Energy: -109.4 eV/cell
# - Total moment: 0.00 μB/cell
# - Formation energy from the elements: 0.28 eV per formula unit
# - Volume: 749.1 Å³/cell
data_NdSm2Er6Tm3
_chemical_formula_sum 'Nd2 Sm4 Er12 Tm6'
_symmetry_space_group_name_H-M 'C 1 2/m 1'
_symmetry_Int_Tables_number 12
_cell_length_a 6.1312
_cell_length_b 10.6082
_cell_length_c 11.6963
_cell_angle_alpha 90.00
_cell_angle_beta 100.04
_cell_angle_gamma 90.00
loop_
_symmetry_equiv_pos_as_xyz
'x,y,z'
'-x,-y,-z'
'-x,y,-z'
'x,-y,z'
'x+1/2,y+1/2,z'
'-x+1/2,-y+1/2,-z'
'-x+1/2,y+1/2,-z'
'x+1/2,-y+1/2,z'
loop_
_atom_site_label
_atom_site_type_symbol
_atom_site_fract_x
_atom_site_fract_y
_atom_site_fract_z
Nd1 Nd 0.0000 0.0000 0.0000
Sm1 Sm 0.0000 0.3334 0.0000
Er1 Er 0.2480 0.0000 0.7458
Er2 Er 0.2476 0.3332 0.7457
Tm1 Tm 0.0000 0.1667 0.5000
Tm2 Tm 0.0000 0.5000 0.5000

No. 2
# CsNbC3, relaxed, DFT GGA-PBE
# - N(E_F): 3.07 states/eV/f.u.
# - Energy: -18.0 eV/cell
# - Total moment: 0.00 μB/cell
# - Formation energy from the elements: 20.59 eV per formula unit
# - Volume: 79.7 Å³/cell
data_CsNbC3
_chemical_formula_sum 'Cs1 Nb1 C3'
_symmetry_space_group_name_H-M 'P m -3 m'
_symmetry_Int_Tables_number 221
_symmetry_space_group_name_Hall '-P 4 2 3'
_cell_length_a 4.3040
_cell_length_b 4.3040
_cell_length_c 4.3040
_cell_angle_alpha 90.00
_cell_angle_beta 90.00
_cell_angle_gamma 90.00
loop_
_atom_site_label
_atom_site_type_symbol
_atom_site_fract_x
_atom_site_fract_y
_atom_site_fract_z
Cs1 Cs 0.0000 0.0000 0.0000
Nb1 Nb 0.5000 0.5000 0.5000
C1 C 0.0000 0.0000 0.5000

* * * * *

# 1
Below is a relaxed structure of YSi2Rh, with properties calculated at the PBE-GGA level.

The structure in POSCAR format:
```
YSi2Rh
1.0
-0.142 -2.263 -3.280
10.409 1.140 -1.237
2.068 -10.852 7.398
Si Y Rh
16 8 8
direct
0.750 0.544 0.470 Si
0.750 0.956 0.970 Si
0.750 0.543 0.123 Si
0.750 0.756 0.711 Si
0.250 0.456 0.530 Si
0.250 0.265 0.613 Si
0.250 0.457 0.877 Si
0.250 0.044 0.030 Si
0.750 0.744 0.211 Si
0.750 0.735 0.387 Si
0.250 0.235 0.113 Si
0.750 0.957 0.623 Si
0.250 0.043 0.377 Si
0.250 0.256 0.789 Si
0.250 0.244 0.289 Si
0.750 0.765 0.887 Si
0.250 0.971 0.800 Y
0.750 0.471 0.700 Y
0.750 0.255 0.448 Y
0.750 0.245 0.948 Y
0.750 0.029 0.200 Y
0.250 0.745 0.552 Y
0.250 0.529 0.300 Y
0.250 0.755 0.052 Y
0.750 0.327 0.195 Rh
0.750 0.553 0.937 Rh
0.750 0.947 0.437 Rh
0.250 0.447 0.063 Rh
0.250 0.673 0.805 Rh
0.250 0.827 0.305 Rh
0.250 0.053 0.563 Rh
0.750 0.173 0.695 Rh
```

N(E_F)   0.32 states/eV/atom

=====

# 2
Below is a relaxed structure of YSi2Rh, with properties calculated at the PBE-GGA level.

The structure in POSCAR format:
```
YSi2Rh
1.0
-8.031 2.176 -0.257
-7.656 1.558 2.872
-6.840 4.432 1.694
Y Si Rh
1 2 1
direct
0.498 0.498 0.498 Y
0.263 0.263 0.263 Si
0.003 0.003 0.003 Si
0.736 0.736 0.736 Rh
```

N(E_F)   0.82 states/eV/atom

=====

# 3
Below is a relaxed structure of YSi2Rh, with properties calculated at the PBE-GGA level.
=====
End of the crystal structures:

We woke up to a lovely sunny day and slowly wandered down towards the pier where a mob of black clad antis were avoiding the kettle and forming quite a sizeable crowd. The word was that fash were being allowed to walk through town to the demo which turned out not to be a particularly clever policing decision as several groups of them were set upon before they’d even got to the march in a sign of things to come. Soon there was a massive surge up St James street because some fascists had been spotted in a betting shop. The group of 3 far right punters were soon surrounded by hundreds of anti-fascists and were only saved by running for their lives out of the back door and a horse charge by the plod.

**These data records were left in the text by mistake:**
Entry 1:
This record from Alexandria via LeMat-Bulk describes PrSmY2 after structural relaxation. The functional is PBE.

Computed properties:
Formation enthalpy at 0 K ... 0.0196 eV per atom
Calculated volume ... 33.598 A^3/atom
Total magnetic moment ... 0.00 μB per cell

```
data_PrSmY2
_chemical_formula_sum 'Pr1 Sm1 Y2'
_cell_length_a 3.627
_cell_length_b 3.627
_cell_length_c 10.215
_cell_angle_alpha 90.00
_cell_angle_beta 90.00
_cell_angle_gamma 90.00
_symmetry_space_group_name_H-M 'P 4/m m m'
_symmetry_Int_Tables_number 123
_symmetry_space_group_name_Hall '-P 4 2'
loop_
_atom_site_label
_atom_site_type_symbol
_atom_site_fract_x
_atom_site_fract_y
_atom_site_fract_z
_atom_site_occupancy
Pr1 Pr 0.000 0.000 0.000 1
Sm1 Sm 0.000 0.000 0.500 1
Y1 Y 0.500 0.500 0.253 1
```

Entry 2:
This record from Alexandria via LeMat-Bulk describes KLiRe2N after structural relaxation. The functional is PBE.

Computed properties:
Calculated volume ... 15.905 A^3/atom
Total magnetic moment ... 0.00 μB per cell
Uncorrected formation energy ... 2641 meV/atom

```
data_KLiRe2N
_chemical_formula_sum 'K1 Li1 Re2 N1'
_cell_length_a 4.310
_cell_length_b 4.310
_cell_length_c 4.281
_cell_angle_alpha 90.00
_cell_angle_beta 90.00
_cell_angle_gamma 90.00
_symmetry_space_group_name_H-M 'P 4/m m m'
_symmetry_Int_Tables_number 123
_symmetry_space_group_name_Hall '-P 4 2'
loop_
_atom_site_label
_atom_site_type_symbol
_atom_site_fract_x
_atom_site_fract_y
_atom_site_fract_z
_atom_site_occupancy
K1 K 0.000 0.000 0.000 1
Li1 Li 0.500 0.500 0.500 1
Re1 Re 0.000 0.500 0.500 1
N1 N 0.500 0.500 0.000 1
```

Entry 3:
This record from Alexandria via LeMat-Bulk describes BaCdH2 after structural relaxation. The functional is PBE.

Computed properties:
Calculated volume ... 19.428 A^3/atom
E_tot ... -2.53 eV/atom
Total magnetic moment ... 0.00 μB per cell

```
data_BaCdH2
_chemical_formula_sum 'Ba4 Cd4 H8'
_cell_length_a 6.774
_cell_length_b 6.774
_cell_length_c 6.774
_cell_angle_alpha 90.00
_cell_angle_beta 90.00
_cell_angle_gamma 90.00
_symmetry_space_group_name_H-M 'F m -3 m'
_symmetry_Int_Tables_number 225
_symmetry_space_group_name_Hall '-F 4 2 3'
loop_
_atom_site_label
_atom_site_type_symbol
_atom_site_fract_x
_atom_site_fract_y
_atom_site_fract_z
_atom_site_occupancy
Ba1 Ba 0.000 0.000 0.000 1
Cd1 Cd 0.000 0.000 0.500 1
H1 H 0.250 0.250 0.250 1
```

Entry 4:
This record from Alexandria via LeMat-Bulk describes CsKHgS after structural relaxation. The functional is PBE.

Computed properties:
Calculated volume ... 35.211 A^3/atom
Total magnetic moment ... 0.00 μB per cell
Uncorrected formation energy ... -675 meV/atom

```
data_CsKHgS
_chemical_formula_sum 'Cs4 K4 Hg4 S4'
_cell_length_a 8.259
_cell_length_b 8.259
_cell_length_c 8.259
_cell_angle_alpha 90.00
_cell_angle_beta 90.00
_cell_angle_gamma 90.00
_symmetry_space_group_name_H-M 'F -4 3 m'
_symmetry_Int_Tables_number 216
_symmetry_space_group_name_Hall 'F -4 2 3'
loop_
_atom_site_label
_atom_site_type_symbol
_atom_site_fract_x

The miserable gaggle of wankers were walled in on the seafront for their own protection whilst thousands of Brighton people from all walks of life turned out to tell them to fuck off. Meanwhile odd groups of those who were clearly out intent on getting at the reds wandered in the maze of the Lanes but kept getting turned over by the better organised and more up for it anti-fascists who were given confidence boost after confidence boost by opposition whose hearts clearly weren’t in it.


In the end the fash didn’t even manage to stagger the whole length of their 250m pig pen before they were turned back for their own safety. They huddled looking miserable while being pelted with missiles and wishing they could go home. Sensing that their job was done anti-fascists went on a victory march through the centre of town having well and truly beaten the fascists of the streets.

Word came through that some isolated fascists were trying to cause mischief down near the pier so we went to investigate only to see a pitiful mob of beer bellied has beens who’d finally drunk enough to get the courage to kick off. They were quickly surrounded by anti-fascists and only saved by scores of riot cops wading in to keep the sides apart. Apparently they were Combined Ex-Forces but I don’t think any of these lads would’ve passed any physical tests! They were marched off in a kettle surrounded by jeering anti-fascists and looked pathetic.

The funniest moment of the day came as we were moving away into the side streets as we came across a fascist so paralytic he could barely stand who eventually got it together enough to run off. It was then that people recognised his obviously terrified mate was none other than Diddyman Shane  Calvert. The poor old Nazi looked like he was about to cry as he scurried away behind police lines to shouts of “Come back Diddyman you paedo!” Seems like the mighty infidels are having a few recruitment problems these days and it’s no surprise. The NWI love to give it large on the internet but they shouldn’t really leave home without their mums for protection!

It was time to retire to the pub for refreshments after a day’s work well done. It was clear that the “hard men” of the far right had been totally humiliated. The normally full of shit @CasualsUnitedNT was lost for words for hours during what was meant to be their most exciting day of the year and Jeff Marsh hasn’t re-emerged from hiding to cover his arse yet. They are talking about coming back next year with more people but they already tried that this year and it didn’t work out too well for them. The fact is dregs of the EDL simply can’t get it together any more and they have learnt the hard way. They may be making big speeches about no surrender but I am sure that they won’t really want a rerun.

Check out the write up from the Anti-Fascist Network as well.


Apr 18 2013

Casuals United confirm that they are fascists

Us anti-fascists have heard no end of whingeing from the 10 men and a dog who are Casuals United over the years, usually starting with “But we’re not fascists!”. The latest example was when failed far right kingpin, Tony Curtis AKA Tone the Moan, leapt to the defence of the Casuals godfather, Jeff Marsh, claiming that he’s against people with extreme right wing views. Well, no one needs to pretend that these muppets aren’t fascists anymore because Leicester Casuals United have kindly confirmed the fact for us.

CasualsUnited Fascists

This just confirms what anti-fascists have been saying for ages about the March for England in Brighton this weekend – that it is a fascist mobilisation against ‘lefties’ with a not very convincing patriotic disguise. In case you need more evidence, here’s something the Anti-Fascist Network found on Facebook:


Travel down with your local anti-fascist group and make sure that these fascists look very silly indeed.

Apr 11 2013

Derbyshire fascist candidates

Derbyshire BNP have only mustered 4 candidates for the County Council elections next month. The same tired old faces are:

  • Greater Heanor – Cliff Roper
  • Heanor Central – Adrian Barry Hickman
  • Ripley East & Codnor – Alan Edwards
  • Ripley West & Heage – Ken Cooper

In 2009 they fielded 17 candidates and the NF fielded one. It’s another poor showing for the fascists.

Now that they are all announced we can see just how badly the BNP are doing in terms of putting up candidates compared to their campaign in 2009. Back then they fielded 115 candidates in the 5 East Midlands counties. This time they’ve only managed to find 27 willing to stand – less than a quarter of the 2009 figure. It can’t be money for deposits that’s the problem because the party has been trumpeting about the generous bequests it’s been receiving from its elderly supporters in recent months. The fact is that members have left the party in droves so the remaining organisers are scrabbling around desperate to find someone, anyone, who will stand for them.

Apr 9 2013

More East Midlands far right candidates

The nominations are in for Lincolnshire, Northamptonshire and Nottinghamshire County Council elections. In all three counties there are fewer BNP candidates than in 2009 suggesting the party’s support has collapsed across the region.


  • Holbeach – Robert Malcolm Brian West (BNP)
  • Louth Wolds – John Atty (BNP)
  • Skegness South – Robert John Ashton (BNP)
  • Spalding East & Moulton – Anthony John Williams (BNP)

BNP had 23 candidates in 2009


  • Brickhill & Queensway – David Peter Robinson (BNP)
  • Clover Hill – Victoria Hilling (Eng Dems)
  • Corby West – Marc Gordon Riddell (BNP)
  • Croyland & Swanspool – Terry Spencer (Eng Dems)
  • Delapre & Rushmere – Mark Andrew Plowman (BNP)
  • Desborough – Kevin Sills (Eng Dems), Clive Skinner (BNP)
  • Hatton Park – Rob Walker (Eng Dems)
  • Irthlingborough – John Elvis Whitestone (BNP)
  • Kingsthorpe North – Peter James Whitestone (BNP)
  • Kingswood – Stella Wright (BNP)
  • Lloyds – Gordon Riddell (BNP)
  • Oakley – James Andrew Gordon Campbell (BNP)
  • Towcester & Roade – John Hughes (BNP)
  • Windmill – Derek Hilling (Eng Dems)

BNP had 12 candidates in 2009 and English Democrats had 4.


  • Beauvale  – David Michael Matthew Wright (BNP)
  • Eastwood – Alex McConnell (BNP)

BNP had 15 candidates in 2009.

Apr 7 2013

Fascist candidates for Leicestershire elections

Leicestershire is the only East Midlands county to have announced the candidates for next month’s County Council elections so far. There are 9 fascists who fancy their luck – the BNP have 7 candidates and new-fash-on-the-block the British Democrats have 2. All of the BNP’s candidates are standing in the Charnwood division, covering the area north of Leicester, meaning that they are not even contesting their former stronghold of North West Leicestershire. Whilst 7 may sound like a lot it is tiny compared to the 48 candidates fielded in the last elections in 2009. Despite having trumpeted about how much money they’ve been conning their elderly supporters into donating to them recently, the BNP is clearly in disarray and it looks like the party will have a poor showing at the polls.

The BNP’s candidates are as follows:

  • Glenfields – Peter Cheeseman
  • Birstall – Ken Tilson
  • Bradgate – Jim Taylor
  • Sileby and the Wolds – Maurice Oatley
  • Syston Fosse – Cathy Duffy
  • Syston Ridgeway – Stephen Denham
  • Thurmaston – Robin Derrick
Derbyshire BNP organiser, Paul Hilliard and Charnwood organiser Peter Cheeseman: Who's pimping who?

Derbyshire BNP organiser, Paul Hilliard and Charnwood organiser Peter Cheeseman: Who’s pimping who?

Steve Denham

Steve Denham

East Goscote BNP councillor Cathy Duffy

East Goscote BNP councillor Cathy Duffy

The British Democrats are yet another breakaway from the BNP, headed by Andrew Brons and launched at a meeting in Queniborough village hall in Leicestershire in February. Despite talking up their status as a rival to the BNP they are only fielding 3 candidates in these elections across the entire country. Former BNP councillor Graham Partner will be trying to hold onto his Coalville seat under the new Brit Dems banner and former Charnwood BNP organiser Kevan Stafford will be standing in Loughborough South. Looks like another BNP splinter group that is rapidly sinking without trace.

Kevan Stafford

Kevan Stafford

Apr 3 2013

Leicestershire far right accused had bomb materials

Three teenagers from Loughborough, who are believed to be far right extremists, have appeared at the Old Bailey accused of plotting terrorist bombings. They had partly assembled pipe bombs when they were arrested in February last year.

The accused were found in possession of components for pipe bombs, a crossbow, air rifles and, ironically, the Mujihadeen Poisons Handbook as well as a “notebook containing information about the planning of attacks and the construction of explosive devices”. The three are being prosecuted on a number of charges including “possession of articles for purposes connected with terrorism”. The charge sheet states that the components of the bombs were possessed “with intent to endanger life or cause serious damage to property”.